Friday, October 17, 2008

i am a listmaker

**These calculated crystals were left in the page by mistake**
=====
Entry 1:
The following is a DFT calculation (GGA-PBE) of a relaxed BaH18O10 crystal.

Computed properties:
- DFT total energy: -516.314 eV per cell
- Formation energy: -23.481 eV/f.u.
- ρ: 1.58 g/cm³

The structure in CIF format:
```
data_BaH18O10
_chemical_formula_sum 'Ba4 H72 O40'
_cell_length_a 9.248
_cell_length_b 10.909
_cell_length_c 15.017
_cell_angle_alpha 90.00
_cell_angle_beta 118.99
_cell_angle_gamma 90.00
_symmetry_space_group_name_H-M 'P 1 21/c 1'
_symmetry_Int_Tables_number 14
loop_
_symmetry_equiv_pos_as_xyz
'x,y,z'
'-x,-y,-z'
'-x,y+1/2,-z+1/2'
'x,-y+1/2,z+1/2'
loop_
_atom_site_label
_atom_site_type_symbol
_atom_site_fract_x
_atom_site_fract_y
_atom_site_fract_z
Ba1 Ba 0.248 0.223 0.223
H1 H 0.009 0.631 0.129
H2 H 0.039 0.571 0.897
H3 H 0.040 0.614 0.093
H4 H 0.094 0.502 0.374
H5 H 0.094 0.594 0.299
H6 H 0.101 0.198 0.878
H7 H 0.185 0.709 0.610
H8 H 0.208 0.025 0.382
H9 H 0.229 0.684 0.664
H10 H 0.277 0.236 0.963
H11 H 0.278 0.627 0.067
H12 H 0.285 0.513 0.909
H13 H 0.290 0.585 0.552
H14 H 0.324 0.732 0.870
H15 H 0.326 0.640 0.419
H16 H 0.332 0.571 0.087
H17 H 0.459 0.531 0.579
H18 H 0.497 0.206 0.122
O1 O 0.019 0.537 0.307
O2 O 0.022 0.743 0.923
O3 O 0.043 0.115 0.593
O4 O 0.214 0.210 0.891
O5 O 0.305 0.679 0.354
O6 O 0.351 0.548 0.521
O7 O 0.405 0.232 0.597
O8 O 0.417 0.513 0.757
O9 O 0.471 0.040 0.767
O10 O 0.493 0.130 0.585
```


Entry 2:
The following is a DFT calculation (GGA-PBE) of a relaxed BaH16O10 crystal.

Computed properties:
- DFT total energy: -271.029 eV per cell
- Formation energy: -36.702 eV/f.u.
- ρ: 2.10 g/cm³

The structure in CIF format:
```
data_BaH16O10
_chemical_formula_sum 'Ba2 H32 O20'
_cell_length_a 6.441
_cell_length_b 6.462
_cell_length_c 11.933
_cell_angle_alpha 91.62
_cell_angle_beta 90.61
_cell_angle_gamma 91.63
_symmetry_space_group_name_H-M 'P 1'
_symmetry_Int_Tables_number 1
loop_
_symmetry_equiv_pos_as_xyz
'x,y,z'
loop_
_atom_site_label
_atom_site_type_symbol
_atom_site_fract_x
_atom_site_fract_y
_atom_site_fract_z
Ba1 Ba 0.000 0.000 0.000
Ba2 Ba 0.014 0.980 0.502
H1 H 0.039 0.455 0.879
H2 H 0.053 0.522 0.375
H3 H 0.062 0.555 0.643
H4 H 0.075 0.374 0.191
H5 H 0.270 0.391 0.906
H6 H 0.275 0.770 0.802
H7 H 0.286 0.389 0.120
H8 H 0.288 0.585 0.403
H9 H 0.298 0.597 0.615
H10 H 0.318 0.869 0.213
H11 H 0.380 0.065 0.692
H12 H 0.401 0.700 0.910
H13 H 0.404 0.270 0.618
H14 H 0.404 0.717 0.116
H15 H 0.405 0.254 0.402
H16 H 0.468 0.023 0.378
H17 H 0.541 0.029 0.874
H18 H 0.568 0.045 0.140
H19 H 0.600 0.265 0.903
H20 H 0.610 0.696 0.408
H21 H 0.612 0.280 0.114
H22 H 0.624 0.701 0.620
H23 H 0.638 0.936 0.674
H24 H 0.714 0.596 0.910
H25 H 0.715 0.794 0.299
H26 H 0.716 0.611 0.122
H27 H 0.726 0.381 0.412
H28 H 0.732 0.392 0.616
H29 H 0.807 0.254 0.306
H30 H 0.808 0.701 0.800
H31 H 0.875 0.307 0.715
H32 H 0.954 0.632 0.171
O1 O 0.130 0.334 0.881
O2 O 0.155 0.639 0.372
O3 O 0.156 0.303 0.135
O4 O 0.170 0.668 0.643
O5 O 0.317 0.142 0.632
O6 O 0.335 0.826 0.873
O7 O 0.342 0.859 0.133
O8 O 0.347 0.114 0.377
=====

so i am a list-making freak. and therefore, i think my best method for describing several events that have happened over a series of several days will be to list them since they are a little too disjointed for a story. so here it goes.

1. chiang mai food festival - this was great. it was a thai carnival/live music/eating fest! they also had little mini pitchers of singha beer. but it was great because there were all these food vendors displaying their eats, so you got to look at all the options instead of ordering blindly. we shared and sampled lots of different things, including bbq-ed sticky rice on a stick! who knew you could bbq rice! i saw a baby cow being bbq-ed - ahh!!! gross!! they also had whole squid and crawfish and whole fish as well - a thai favorite (i have no idea how to eat around the bones!) there was a stage with thai pop singers and dancers in feathery costumes. there were all these cool light things around (see photo page) and also the most rickety ferris wheel i have ever seen! along the back side, there were a bunch of carnival games, 2 giant inflatable jumpy things (including one that looked like a shark!!! - clarke i thought of you!!). then there was the ferris wheel and a couple other kiddie rides, including this one....

2. after returning from a tune up, our work informed us that the motorbike was ready for pickup! ahh!! ok, so i am terrified of this thing. and i will never drive it. but luke is all excited. it has a clutch. so we walked over and luke got on and practiced going around the block. we thought we might have to share the bike but we get to take it home and put it in the parking garage! so against my better judgment, i get on the thing for the 2 minute drive home. slightly terrifying, but at least we had all left turns (remember traffic is backwards!). so maybe i will ride it to out of town trips where there is way less traffic, but no thanks, not in the center of town! chris is excited though because he wants to take it up to the mountain temple to take pictures at sunrise. we will have to do a photo shoot with it soon. and also name it. it is silver, although i was hoping it would be pink (so that luke would want to ride it less!). i am all set with my bicycle for now!

3. luke and i took our first siesta at the pool near our house. it was a super hot day and was amazing. the water was so warm just from the weather here. it is just a regular looking pool that is a part of this gym in the middle of all these townhouses and apartments. we made our first friend here. he is a teacher of spanish and french at a university here for a few more weeks. he is a brazilian from germany and his mother was italian. confused yet? he also speaks some thai...and perfect english. what's the language count at? 10, 15? so this guy is buddhist, and said he just got back from an amazing trip in japan where he did meditation in these beautiful zen gardens. he also has 3 passports - germany, brazil, and italy. pretty amazing. he was cool.

4. after dinner one night, luke and i ventured to out neighborhood wat. i thought it might be lit up in the dark, and we had not been there yet. so we walk in the gate and there are all these people there. inside this one building there were lots of people dressed head to toe in white, chanting, and there were all these people sitting in plastic chairs watching. so we decided to sit in the back row to observe for a minute. well guess what - it was a funeral! i saw a coffin shaped mound inside (we were outside looking to the inside ceremony) with lots of red and white flowers on it. then i realized there was a large framed photo on an easel. so we snuck in on a funeral - i wonder what that does to your karma! we then quietly left to explore the grounds. there was a group of monks in the main building and there was one who was lecturing and chanting. we peeked in the sides to watch. the large golden chedi was lit up and there was a full moon! really beautiful!
5. future trip plans - for work at the end of october, we are going to a town 3 hours north - chiang rai - to do an outreach program. chris gets to come for free because they have space for him! then from there we are going to take a trip to laos! every so often we have to leave the country to get visas reset. chris has to do his sooner, but mine and luke's last 3 months each time. so we are going to take a bus to the border, spend the night, and the next day we will be crossing into laos and taking a slow boat down the mekong river!! so cool! it is a two day trip to get to luang prabang, laos' old capital. then we will spend two days there and fly back to chiang mai. should be pretty cool. at the halfway point on the river we get to stay at a small village.

6. one night luke and i decided to buy beers and we were going to find a cool place to sit and drink them. but there was one flaw in our plan - there are very few places to sit in thailand. there are very few benches along the road to sit on and the park by our house closes the gates at night. so in our search we ended up making it all the way home and we sat on the front stairs of our building and drank our beers. and in the process we made a friend. we had seen this guy before coming into our building with his really nice powder blue road bike. his name is kyle and he has been teaching here for a year and a half. he is from atlanta. he seems cool so hopefully we will get a chance to hang out with him.

7. there is an amazing amazing massage parlor 2 blocks from our house. they are so good. i got just a back, head and neck massage instead of the full body thai one. it was great - i even got a face massage. we will definitely be frequenting that place!


Lee said...

I like your list - it makes sense and doesn't have to follow a chronological sequence.

It's nice that you've made some new friends. Did the German/Brazilian/Italian person speak with Luke in German or English?

Please tell Luke to be careful on the motorbike! Mom says....

hello, it's katie! said...

our friend spoke to in german and english. i think he knew that i didn't know what they were saying, so he switched back to english!

don't worry - i told luke that he HAS to drive like a grandma...even if grandma's on their own bikes are passing him! and i am not into driving over 30 mph on it! we plan to use it mostly for out of town adventures, so there will be less traffic to deal with then.